[File]
=====
No. 1
This record from the OMol25 dataset describes 2 unconnected molecules or ions with the total composition C11H17F8NO4. The level of theory is wB97M-V/def2-TZVPD.

Positions of all 41 atoms, in Å:
F1 -0.716 -0.877 3.990
C1 -1.403 -0.267 4.979
F2 -1.352 -1.108 6.048
C2 -2.854 0.041 4.610
F3 -3.589 -1.097 4.480
F4 -3.419 0.724 5.656
C3 -3.045 0.898 3.350
O1 -3.263 0.201 2.117
C4 -2.084 -0.308 1.492
F5 -1.008 0.322 2.020
F6 -2.147 0.100 0.191
C5 -1.982 -1.838 1.544
F7 -2.142 -2.322 2.801
F8 -0.761 -2.261 1.117
H1 -0.871 0.651 5.256
H2 -3.975 1.464 3.500
H3 -2.273 1.670 3.248
H4 -2.743 -2.298 0.912
C6 4.338 -1.422 -2.214
C7 3.855 0.087 -1.782
C8 3.535 1.039 -3.118
O2 2.819 2.219 -2.610
C9 1.454 2.323 -3.148
O3 1.273 2.357 -4.472
O4 0.350 2.443 -2.146
C10 -0.184 1.120 -1.785
C11 -0.664 0.201 -3.056
N1 -1.470 -0.978 -2.526
H5 5.354 -1.623 -1.620
H6 4.489 -1.549 -3.386
H7 3.527 -2.173 -1.831
H8 2.828 0.025 -1.201
H9 4.695 0.671 -1.189
H10 2.993 0.457 -3.977
H11 4.611 1.339 -3.537
H12 0.558 0.470 -1.117
H13 -1.136 1.316 -1.092
H14 -1.362 0.827 -3.756
H15 0.312 -0.184 -3.618
H16 -0.843 -1.809 -2.619
H17 -1.702 -0.849 -1.511

Summary:
HOMO in eV: -9.61
E in Ha: -1583.8110
2S+1: 1
Frontier orbital gap in eV: 10.03
Structure (SMILES): FC(F)C(F)(F)COC(F)(F)C(F)F.CCCOC(=O)OCCN

***

No. 2
This record from the OMol25 dataset describes 9 unconnected molecules or ions with the total composition C15H48O9. The level of theory is wB97M-V/def2-TZVPD.

Positions of all 72 atoms, in Å:
C1 4.532 -4.073 -2.093
C2 4.353 -2.593 -1.501
C3 3.119 -1.873 -2.063
O1 4.168 -2.661 -0.145
H1 4.406 -4.083 -3.175
H2 3.779 -4.728 -1.656
H3 5.557 -4.433 -1.999
H4 5.162 -1.947 -1.842
H5 3.029 -0.896 -1.589
H6 2.194 -2.357 -1.750
H7 3.104 -1.838 -3.153
H8 3.494 -3.291 0.120
C4 -0.699 -0.677 -0.860
C5 -0.257 0.715 -0.266
C6 -1.333 1.358 0.514
O2 0.740 0.400 0.704
H9 -1.676 -0.775 -1.332
H10 -0.810 -1.474 -0.125
H11 0.097 -0.951 -1.553
H12 0.295 1.342 -0.966
H13 -2.137 1.547 -0.197
H14 -0.995 2.250 1.042
H15 -1.812 0.707 1.245
H16 0.763 1.140 1.314
C7 -0.419 4.496 -2.523
C8 1.112 4.692 -2.778
C9 2.038 4.333 -1.684
O3 1.509 3.883 -3.895
H17 -0.597 3.441 -2.314
H18 -1.070 4.614 -3.389
H19 -0.770 5.071 -1.665
H20 1.239 5.760 -2.954
H21 1.726 3.348 -1.338
H22 1.899 5.033 -0.860
H23 3.106 4.302 -1.899
H24 2.269 4.297 -4.309
C10 0.024 4.141 4.750
C11 0.429 2.937 5.654
C12 -0.681 2.026 5.990
O4 1.442 2.272 4.945
H25 -0.212 3.897 3.714
H26 0.829 4.875 4.713
H27 -0.908 4.579 5.109
H28 0.922 3.211 6.587
H29 -0.242 1.281 6.654
H30 -1.336 1.517 5.283
H31 -1.361 2.637 6.584
H32 1.198 2.042 4.046
C13 -4.751 -4.703 -2.641
C14 -4.595 -3.375 -1.947
C15 -4.330 -2.200 -2.882
O5 -5.915 -3.223 -1.294
H33 -3.917 -4.932 -3.304
H34 -5.655 -4.739 -3.247
H35 -4.843 -5.560 -1.973
H36 -3.819 -3.480 -1.189
H37 -4.180 -1.209 -2.454
H38 -5.058 -2.190 -3.693
H39 -3.345 -2.281 -3.340
H40 -6.481 -3.163 -2.067
O6 1.683 3.017 2.069
H41 2.572 3.115 2.410
H42 1.366 3.914 1.965
O7 1.692 -1.460 2.594
H43 2.619 -1.331 2.795
H44 1.516 -0.851 1.876
O8 -1.942 -4.022 1.303
H45 -1.560 -3.381 1.902
H46 -2.110 -4.790 1.849
O9 -0.048 -4.350 -0.977
H47 -0.812 -4.227 -0.413
H48 0.694 -4.074 -0.439

Summary:
HOMO in eV: -9.84
E in Ha: -1277.3736
ΔE to the lowest compared entry with this formula, charge and spin in eV: 2.875
2S+1: 1
Frontier orbital gap in eV: 10.08
Structure (SMILES): CC(C)O.CC(C)O.CC(C)O.CC(C)O.CC(C)O.O.O.O.O

***

No. 3
This record from the OMol25 dataset describes C5H7Br2N in the gas phase. The level of theory is wB97M-V/def2-TZVPD.

Positions of all 15 atoms, in Å:
C1 -1.045 0.418 0.784
C2 0.970 -0.249 -1.471
C3 -0.393 -0.876 -1.167
C4 1.779 -0.190 -0.164
C5 -1.607 0.962 2.017
N1 -1.176 -0.271 -0.160
Br1 2.884 -1.770 0.354
Br2 2.602 1.503 0.016
H1 1.501 -0.790 -2.316
H2 0.757 0.868 -1.837
H3 -0.887 -0.734 -2.231
H4 -0.209 -1.923 -0.755
H5 -1.493 2.005 2.133
H6 -1.048 0.208 2.763
H7 -2.637 0.840 2.035

Summary:
HOMO (alpha / beta) in eV: -7.76 / -6.28
E in Ha: -5397.3176
=====

[Exercise]
Duplicate the lines earlier on up to the one that holds "-0.699 -0.677", that line included.

[Here it is]
No. 1
This record from the OMol25 dataset describes 2 unconnected molecules or ions with the total composition C11H17F8NO4. The level of theory is wB97M-V/def2-TZVPD.

Positions of all 41 atoms, in Å:
F1 -0.716 -0.877 3.990
C1 -1.403 -0.267 4.979
F2 -1.352 -1.108 6.048
C2 -2.854 0.041 4.610
F3 -3.589 -1.097 4.480
F4 -3.419 0.724 5.656
C3 -3.045 0.898 3.350
O1 -3.263 0.201 2.117
C4 -2.084 -0.308 1.492
F5 -1.008 0.322 2.020
F6 -2.147 0.100 0.191
C5 -1.982 -1.838 1.544
F7 -2.142 -2.322 2.801
F8 -0.761 -2.261 1.117
H1 -0.871 0.651 5.256
H2 -3.975 1.464 3.500
H3 -2.273 1.670 3.248
H4 -2.743 -2.298 0.912
C6 4.338 -1.422 -2.214
C7 3.855 0.087 -1.782
C8 3.535 1.039 -3.118
O2 2.819 2.219 -2.610
C9 1.454 2.323 -3.148
O3 1.273 2.357 -4.472
O4 0.350 2.443 -2.146
C10 -0.184 1.120 -1.785
C11 -0.664 0.201 -3.056
N1 -1.470 -0.978 -2.526
H5 5.354 -1.623 -1.620
H6 4.489 -1.549 -3.386
H7 3.527 -2.173 -1.831
H8 2.828 0.025 -1.201
H9 4.695 0.671 -1.189
H10 2.993 0.457 -3.977
H11 4.611 1.339 -3.537
H12 0.558 0.470 -1.117
H13 -1.136 1.316 -1.092
H14 -1.362 0.827 -3.756
H15 0.312 -0.184 -3.618
H16 -0.843 -1.809 -2.619
H17 -1.702 -0.849 -1.511

Summary:
HOMO in eV: -9.61
E in Ha: -1583.8110
2S+1: 1
Frontier orbital gap in eV: 10.03
Structure (SMILES): FC(F)C(F)(F)COC(F)(F)C(F)F.CCCOC(=O)OCCN

***

No. 2
This record from the OMol25 dataset describes 9 unconnected molecules or ions with the total composition C15H48O9. The level of theory is wB97M-V/def2-TZVPD.

Positions of all 72 atoms, in Å:
C1 4.532 -4.073 -2.093
C2 4.353 -2.593 -1.501
C3 3.119 -1.873 -2.063
O1 4.168 -2.661 -0.145
H1 4.406 -4.083 -3.175
H2 3.779 -4.728 -1.656
H3 5.557 -4.433 -1.999
H4 5.162 -1.947 -1.842
H5 3.029 -0.896 -1.589
H6 2.194 -2.357 -1.750
H7 3.104 -1.838 -3.153
H8 3.494 -3.291 0.120
C4 -0.699 -0.677 -0.860